== Listing ==
CrAu: relaxed, PBE-GGA.

abc: 4.543 4.543 5.372
angles: 90.00 90.00 120.00
Site moments in Bohr magnetons follow the coordinates.
Fractional coordinates of all 4 atoms:
Cr  0.333  0.667  0.250  3.65
Cr  0.667  0.333  0.750  3.65
Au  0.667  0.333  0.250  0.10
Au  0.333  0.667  0.750  0.10

Summary:
The calculation puts the volume at 96 Å³ per cell. The symmetry is P6_3/mmc, No. 194. The total magnetic moment comes out at 4.2 μB per formula unit. The calculation puts the calculated density at 8.61 Mg/m³. The calculation puts the formation energy at 1.61 eV per formula unit. The density of states at the Fermi level is 1.94 states/eV/f.u.



Pr4Nd8Mg: relaxed, PBE-GGA.

abc: 11.811 11.811 7.873
angles: 90.00 138.60 120.00
Fractional coordinates of all 13 atoms:
Nd  0.329  0.164  0.995
Nd  0.831  0.164  0.995
Nd  0.517  0.758  0.275
Nd  0.831  0.666  0.995
Nd  0.169  0.334  0.005
Nd  0.671  0.836  0.005
Nd  0.483  0.242  0.725
Nd  0.169  0.836  0.005
Pr  0.500  0.500  0.000
Pr  0.000  0.500  0.000
Pr  0.500  0.000  0.000
Pr  0.000  0.000  0.000
Mg  0.000  0.500  0.500

Summary:
The calculation puts the volume at 475 Å³ per cell. The symmetry is R-3m, No. 166. The total magnetic moment comes out at 0.0 μB per formula unit. The calculation puts the calculated density at 6.08 Mg/m³. The calculation puts the formation energy at 4.94 eV per formula unit. The density of states at the Fermi level is 24.71 states/eV/f.u.



Sm2AsH: relaxed, PBE-GGA.

abc: 4.053 4.053 6.518
angles: 89.98 89.98 60.03
Site moments in Bohr magnetons follow the coordinates.
Fractional coordinates of all 4 atoms:
As  0.843  0.288  0.772  0.01
Sm  0.176  0.621  0.511  0.17
Sm  0.509  0.954  0.042  0.08
H  0.176  0.621  0.155  0.00

Summary:
The calculation puts the volume at 93 Å³ per cell. The symmetry is P3m1, No. 156. The total magnetic moment comes out at 0.7 μB per formula unit. The calculation puts the calculated density at 6.74 Mg/m³. The density of states at the Fermi level is 2.49 states/eV/f.u. The value obtained for the energy above the lowest structure with this stoichiometry is 0.000 eV per atom.



Mg2SbBr: relaxed, PBE-GGA.

abc: 3.311 3.311 10.020
angles: 90.00 90.00 90.00
Fractional coordinates of all 4 atoms:
Sb  0.000  0.000  0.444
Br  0.500  0.500  0.836
Mg  0.000  0.000  0.989
Mg  0.500  0.500  0.231

Summary:
The calculation puts the volume at 110 Å³ per cell. The symmetry is P4mm, No. 99. The total magnetic moment comes out at 0.0 μB per formula unit. The calculation puts the calculated density at 3.78 Mg/m³. The density of states at the Fermi level is 1.74 states/eV/f.u. The value obtained for the energy above the lowest structure with this stoichiometry is 0.292 eV per atom.

* * * * *

[1]
VASP calculation (PBE) on YAl2In after structural relaxation.

a = 10.1591 Å, b = 10.1591 Å, c = 10.1591 Å
α = 18.37°, β = 18.37°, γ = 18.37°
Positions (direct):
Y 0.7465 0.7465 0.7465
Al 0.9939 0.9939 0.9939
Al 0.2537 0.2537 0.2537
In 0.5059 0.5059 0.5059

Values from the calculation:
DFT formation energy ... 4 meV/atom
Crystal system ... trigonal



[2]
VASP calculation (PBE) on LaY4In2 after structural relaxation.

a = 8.4171 Å, b = 6.6441 Å, c = 8.4365 Å
α = 90.00°, β = 116.35°, γ = 90.00°
Positions (direct):
La 0.2472 0.7500 0.3132
La 0.7528 0.2500 0.6868
Y 0.5752 0.4945 0.2309
Y 0.0933 0.7500 0.8810
Y 0.9067 0.2500 0.1190
Y 0.5752 0.0055 0.2309
Y 0.0429 0.2500 0.5417
Y 0.4248 0.9945 0.7691
Y 0.4248 0.5055 0.7691
Y 0.9571 0.7500 0.4583
In 0.7942 0.7500 0.0279
In 0.2058 0.2500 0.9721
In 0.3348 0.2500 0.3967
In 0.6652 0.7500 0.6033

Values from the calculation:
DFT formation energy ... -197 meV/atom
Crystal system ... monoclinic



[3]
VASP calculation (PBE) on PmGeSO2 after structural relaxation.

a = 4.1312 Å, b = 6.6137 Å, c = 7.2797 Å
α = 115.73°, β = 90.00°, γ = 90.00°
Positions (direct):
Pm 0.2500 0.7030 0.9476
Pm 0.7500 0.2970 0.0524
Ge 0.2500 0.6543 0.4477
Ge 0.7500 0.3457 0.5523
S 0.2500 0.0199 0.7768
S 0.7500 0.9801 0.2232

== Wanted ==
The reader should repeat everything further up exactly.

== Response ==
CrAu: relaxed, PBE-GGA.

abc: 4.543 4.543 5.372
angles: 90.00 90.00 120.00
Site moments in Bohr magnetons follow the coordinates.
Fractional coordinates of all 4 atoms:
Cr  0.333  0.667  0.250  3.65
Cr  0.667  0.333  0.750  3.65
Au  0.667  0.333  0.250  0.10
Au  0.333  0.667  0.750  0.10

Summary:
The calculation puts the volume at 96 Å³ per cell. The symmetry is P6_3/mmc, No. 194. The total magnetic moment comes out at 4.2 μB per formula unit. The calculation puts the calculated density at 8.61 Mg/m³. The calculation puts the formation energy at 1.61 eV per formula unit. The density of states at the Fermi level is 1.94 states/eV/f.u.



Pr4Nd8Mg: relaxed, PBE-GGA.

abc: 11.811 11.811 7.873
angles: 90.00 138.60 120.00
Fractional coordinates of all 13 atoms:
Nd  0.329  0.164  0.995
Nd  0.831  0.164  0.995
Nd  0.517  0.758  0.275
Nd  0.831  0.666  0.995
Nd  0.169  0.334  0.005
Nd  0.671  0.836  0.005
Nd  0.483  0.242  0.725
Nd  0.169  0.836  0.005
Pr  0.500  0.500  0.000
Pr  0.000  0.500  0.000
Pr  0.500  0.000  0.000
Pr  0.000  0.000  0.000
Mg  0.000  0.500  0.500

Summary:
The calculation puts the volume at 475 Å³ per cell. The symmetry is R-3m, No. 166. The total magnetic moment comes out at 0.0 μB per formula unit. The calculation puts the calculated density at 6.08 Mg/m³. The calculation puts the formation energy at 4.94 eV per formula unit. The density of states at the Fermi level is 24.71 states/eV/f.u.



Sm2AsH: relaxed, PBE-GGA.

abc: 4.053 4.053 6.518
angles: 89.98 89.98 60.03
Site moments in Bohr magnetons follow the coordinates.
Fractional coordinates of all 4 atoms:
As  0.843  0.288  0.772  0.01
Sm  0.176  0.621  0.511  0.17
Sm  0.509  0.954  0.042  0.08
H  0.176  0.621  0.155  0.00

Summary:
The calculation puts the volume at 93 Å³ per cell. The symmetry is P3m1, No. 156. The total magnetic moment comes out at 0.7 μB per formula unit. The calculation puts the calculated density at 6.74 Mg/m³. The density of states at the Fermi level is 2.49 states/eV/f.u. The value obtained for the energy above the lowest structure with this stoichiometry is 0.000 eV per atom.



Mg2SbBr: relaxed, PBE-GGA.

abc: 3.311 3.311 10.020
angles: 90.00 90.00 90.00
Fractional coordinates of all 4 atoms:
Sb  0.000  0.000  0.444
Br  0.500  0.500  0.836
Mg  0.000  0.000  0.989
Mg  0.500  0.500  0.231

Summary:
The calculation puts the volume at 110 Å³ per cell. The symmetry is P4mm, No. 99. The total magnetic moment comes out at 0.0 μB per formula unit. The calculation puts the calculated density at 3.78 Mg/m³. The density of states at the Fermi level is 1.74 states/eV/f.u. The value obtained for the energy above the lowest structure with this stoichiometry is 0.292 eV per atom.

* * * * *

[1]
VASP calculation (PBE) on YAl2In after structural relaxation.

a = 10.1591 Å, b = 10.1591 Å, c = 10.1591 Å
α = 18.37°, β = 18.37°, γ = 18.37°
Positions (direct):
Y 0.7465 0.7465 0.7465
Al 0.9939 0.9939 0.9939
Al 0.2537 0.2537 0.2537
In 0.5059 0.5059 0.5059

Values from the calculation:
DFT formation energy ... 4 meV/atom
Crystal system ... trigonal



[2]
VASP calculation (PBE) on LaY4In2 after structural relaxation.

a = 8.4171 Å, b = 6.6441 Å, c = 8.4365 Å
α = 90.00°, β = 116.35°, γ = 90.00°
Positions (direct):
La 0.2472 0.7500 0.3132
La 0.7528 0.2500 0.6868
Y 0.5752 0.4945 0.2309
Y 0.0933 0.7500 0.8810
Y 0.9067 0.2500 0.1190
Y 0.5752 0.0055 0.2309
Y 0.0429 0.2500 0.5417
Y 0.4248 0.9945 0.7691
Y 0.4248 0.5055 0.7691
Y 0.9571 0.7500 0.4583
In 0.7942 0.7500 0.0279
In 0.2058 0.2500 0.9721
In 0.3348 0.2500 0.3967
In 0.6652 0.7500 0.6033

Values from the calculation:
DFT formation energy ... -197 meV/atom
Crystal system ... monoclinic



[3]
VASP calculation (PBE) on PmGeSO2 after structural relaxation.

a = 4.1312 Å, b = 6.6137 Å, c = 7.2797 Å
α = 115.73°, β = 90.00°, γ = 90.00°
Positions (direct):
Pm 0.2500 0.7030 0.9476
Pm 0.7500 0.2970 0.0524
Ge 0.2500 0.6543 0.4477
Ge 0.7500 0.3457 0.5523
S 0.2500 0.0199 0.7768
S 0.7500 0.9801 0.2232